Sunday, March 31, 2013

How far can North Korea's missiles reach?

The regime is understood to have substantial numbers of short- and intermediate-range missiles such as the Nodong, a variant on the Scud missile.

With a range of around 1,000km, the Nodong could in theory strike in South Korea and Japan. However, its poor accuracy makes it an ineffective battlefield weapon and it is unlikely North Korea would be able to pinpoint US military bases in the region, although it could cause serious civilian casualties.

### Unrelated to this entry: data records
=====
[1]
The following is a simulated powder diffractogram of LaTmCd4. It was derived from a crystal structure in OQMD, relaxed with GGA-PBE, using copper Kα.

Cell and atoms:
Cell: 3.389 4.996 8.699 Å, 90.00 90.03 90.00°
Element x y z (fractional)
La1 0.000 0.000 0.000
Tm1 0.000 0.500 0.500
Cd1 0.497 0.000 0.660
Cd2 0.497 0.500 0.175
Cd3 0.503 0.000 0.340
Cd4 0.503 0.500 0.825

Main lines, in order of falling intensity (2θ = 15–90°):
2.671 Å, 2θ 33.56, I = 100
2.508 Å, 2θ 35.81, I = 57
2.498 Å, 2θ 35.95, I = 28
1.825 Å, 2θ 49.97, I = 22
1.404 Å, 2θ 66.61, I = 18
1.478 Å, 2θ 62.89, I = 16
1.473 Å, 2θ 63.12, I = 10
1.830 Å, 2θ 49.82, I = 10
1.444 Å, 2θ 64.53, I = 10
1.402 Å, 2θ 66.70, I = 9

=====

[2]
The following is a simulated powder diffractogram of LiCd12. It was derived from a crystal structure in OQMD, relaxed with GGA-PBE, using copper Kα.

Cell and atoms:
Cell: 5.758 5.758 9.981 Å, 90.00 90.00 120.00°
Element x y z (fractional)
Li1 0.000 0.000 0.000
Cd1 0.000 0.000 0.354
Cd2 0.000 0.000 0.646
Cd3 0.000 0.500 0.244
Cd4 0.000 0.500 0.756
Cd5 0.333 0.667 0.000
Cd6 0.333 0.667 0.500
Cd7 0.500 0.000 0.244
Cd8 0.500 0.000 0.756
Cd9 0.500 0.500 0.244
Cd10 0.500 0.500 0.756
Cd11 0.667 0.333 0.000
Cd12 0.667 0.333 0.500

Main lines, in order of falling intensity (2θ = 15–90°):
2.231 Å, 2θ 40.44, I = 100
2.494 Å, 2θ 36.01, I = 81
1.440 Å, 2θ 64.74, I = 29
4.988 Å, 2θ 17.78, I = 23
1.210 Å, 2θ 79.19, I = 18
1.504 Å, 2θ 61.67, I = 17
2.879 Å, 2θ 31.06, I = 16
1.247 Å, 2θ 76.37, I = 15
2.767 Å, 2θ 32.35, I = 11
1.577 Å, 2θ 58.53, I = 10

=====

[3]
The following is a simulated powder diffractogram of LiCd12. It was derived from a crystal structure in OQMD, relaxed with GGA-PBE, using copper Kα.

Cell and atoms:
Cell: 5.758 5.758 9.981 Å, 90.00 90.00 120.00°
Element x y z (fractional)
Li1 0.000 0.000 0.000
Cd1 0.000 0.000 0.354
Cd2 0.000 0.000 0.646
Cd3 0.000 0.500 0.244
Cd4 0.000 0.500 0.756
Cd5 0.333 0.667 0.000
Cd6 0.333 0.667 0.500
Cd7 0.500 0.000 0.244
Cd8 0.500 0.000 0.756
Cd9 0.500 0.500 0.244
Cd10 0.500 0.500 0.756
Cd11 0.667 0.333 0.000
Cd12 0.667 0.333 0.500

Main lines, in order of falling intensity (2θ = 15–90°):
2.231 Å, 2θ 40.44, I = 100
2.494 Å, 2θ 36.01, I = 81
1.440 Å, 2θ 64.74, I = 29
4.988 Å, 2θ 17.78, I = 23
1.210 Å, 2θ 79.19, I = 18
1.504 Å, 2θ 61.67, I = 17
2.879 Å, 2θ 31.06, I = 16
1.247 Å, 2θ 76.37, I = 15
2.767 Å, 2θ 32.35, I = 11
1.577 Å, 2θ 58.53, I = 10

=====

[4]
The following is a simulated powder diffractogram of Li13Cd4. It was derived from a crystal structure in OQMD, relaxed with GGA-PBE, using copper Kα.

Cell and atoms:
Cell: 8.090 15.195 4.572 Å, 90.00 90.00 90.00°
Element x y z (fractional)
Li1 0.000 0.000 0.000
Li2 0.056 0.305 0.000
Li3 0.078 0.126 0.500
Li4 0.142 0.477 0.000
Li5 0.215 0.957 0.500
Li6 0.231 0.769 0.500
Li7 0.247 0.146 0.000
Li8 0.253 0.646 0.000
Li9 0.269 0.269 0.500
Li10 0.285 0.457 0.500
Li11 0.358 0.977 0.000
Li12 0.422 0.626 0.500
Li13 0.444 0.805 0.000
Li14 0.500 0.500 0.000
=====
### The entry goes on

The middle-range Musudan missile is of major concern to Japan as its 4,000km capability would allow the North Korean regime to strike anywhere in Japanese territory. Estimates of the size of North Korea's Musudan arsenal vary widely, with figures ranging from only a dozen to more than 200.

The Taepodong 1 was North Korea's first multi-stage missile, a significant technological development where the weapon depends on different thrusters at different times. However it has proved a poor performer, with limited range and unreliable accuracy.

Sunday, March 24, 2013

Cyprus offered bailout from Russian energy firm Gazprom...if they sell offshore gas rights

The huge multinational already own vast gas deposits in Siberia, and reportedly want the beleaguered country's Mediterranean Sea rights.

The firm are reportedly looking to acquire the rights as the emergence an independent gas industry in Cyprus would undercut their pricing power.

The news of a private financial package comes as Germany warned the country's banks may never reopen if a bailout is not agreed.

The German Chancellor Angela Merkel said: "It is important that Cyprus gets a sustainable banking sector in the future.

"The current banking sector is not sustainable."

Friday, March 22, 2013

Jailed Leader of the Kurds Offers a Truce With Turkey

DIYARBAKIR, Turkey — The jailed Kurdish rebel leader Abdullah Ocalan on Thursday called for a cease-fire and ordered all his fighters off Turkish soil, in a landmark moment for a newly energized effort to end three decades of armed conflict with the Turkish government.

Since its start late last year, the peace effort has transfixed a Turkish public traumatized by a long and bloody conflict that has claimed nearly 40,000 lives and fractured society along ethnic lines. While there have been previous periods of cease-fire between Turkey and Mr. Ocalan’s group, the Kurdistan Workers’ Party, or P.K.K., never before has there been so much support at the highest levels of both the Turkish and Kurdish leadership.
“We reached the point where weapons should go silent and ideas speak,” Mr. Ocalan wrote in a letter read out to jubilant crowds gathered in the Kurdish heartland here in southern Turkey. “A new era starts when politics, instead of guns, comes to the forefront.”
For the Turkish government, seeking peace within its borders is a step toward realizing its ambition to be a regional power broker. For the Kurds, the call for peace carries with it the hope of more rights under a new constitution and the freedom to express a separate identity within a country that for decades denied their existence, forbade them to speak their language and abused their activists.
The declaration by Mr. Ocalan was seen as a critical confidence-building step in the peace process. It brought ecstatic celebration among the huge crowds gathered outside Diyarbakir to celebrate Nowruz, the traditional spring festival. Lawmakers read out statements in both Turkish and Kurdish as waves of yellow, red and green, the traditional Kurdish colors, rippled through the masses.
The deal is far from done, however. Notably, while Mr. Ocalan called for militants to retreat to bases in the mountains of northern Iraq, he did not order them to disarm. And a long process of constitutional reform and negotiations over Kurdish prisoners lies ahead.

Wednesday, March 13, 2013

_Records of crystals, kept here for reference_
........
For GaCo2F2, a cell relaxed with GGA+U gives the computed powder diffraction line list in this record (Cu Ka).

Main lines, sorted by position (2θ from 10° to 80°):
2theta	I_rel	h k l
29.5	29	2 1 0
37.6	52	2 2 0
37.8	29	1 1 1
42.3	74	3 1 0
42.4	100	2 0 1
44.6	78	2 1 1
66.4	25	4 1 1
68.0	23	3 3 1

Atomic structure:
```
GaCo2F2
1.0
6.764 0.000 0.000
0.000 6.764 0.000
0.000 0.000 2.746
Ga Co F
2 4 4
Cartesian
0.000 0.000 0.000
3.382 3.382 0.000
1.271 2.111 1.373
2.111 5.493 1.373
4.653 1.271 1.373
5.493 4.653 1.373
0.876 4.258 0.000
2.506 0.876 0.000
4.258 5.888 0.000
5.888 2.506 0.000
```

* * * * *

The following is a computed PXRD pattern of SrMg6SnO8. It was derived from DFT lattice parameters and positions (GGA-PBE), using Cu Kα, 1.54184 Å.
Kinematic intensities with the Lorentz-polarization factor, no thermal factor.

Atomic structure:
a b c (Å): 4.6135 4.6135 9.1652
angles (deg): 90.00 90.00 90.00
Atoms (fractional coordinates):
Sr 0.0000 0.0000 0.0000
Mg 0.0000 0.5000 0.2497
Mg 0.0000 0.5000 0.7503
........
_Back to the article_

Cameron says Argentina should respect vote

David Cameron has called on Argentina to respect the wishes of the people of the Falkland Islands to remain British.
The prime minister said the almost unanimous vote in favour of staying a British overseas territory was the "clearest possible result".
He said Argentina should take "careful note" of the referendum, and Britain would always defend the islands.
It follows pressure from Argentina over its claims to the islands, 31 years after the Falklands War with the UK.
Most Argentines regard the islands, which they call Las Malvinas, as Argentine and their recovery is enshrined in the national constitution.
Argentine President Cristina Fernandez de Kirchner has made clear that her country does not recognise the referendum, insisting it has no legal validity.
However, Mr Cameron said the islanders were entitled to the right of self-determination.

Black smoke on day 2

Black smoke billows from Sistine Chapel chimney, showing that Cardinals at Vatican have yet to agree on new pope.

Tuesday, March 5, 2013

Venezuela's Hugo Chavez dead at 58

Venezuela's President Hugo Chavez has died, his vice-president has announced.
Mr Chavez had not appeared in public since he returned to Venezuela last month after cancer treatment in Cuba.
An emotional Nicolas Maduro made the announcement on Tuesday evening, flanked by leading Venezuelan political and military leaders.
Earlier, he said the 58-year-old Venezuelan leader had a new, severe respiratory infection and had entered "his most difficult hours".
One of the most visible, vocal and controversial leaders in Latin America, the former army paratrooper won the presidency in 1998 and had most recently won another six-year presidential term in October 2012.